Input
+++
(1)
This record from Materials Project describes a geometry-optimized Tl6SCl4 structure. The functional is r²SCAN.

Properties
formation energy: -0.934 eV per atom
calculated volume: 30.539 A^3/atom
total magnetic moment: 0.0 Bohr magnetons per cell

a = 8.5128 Å, b = 8.5128 Å, c = 9.2712 Å
α = 90.00°, β = 90.00°, γ = 90.00°
Sites, in units of the cell vectors:
Tl 0.0000 0.0000 0.1942
Tl 0.0000 0.0000 0.8058
Tl 0.1111 0.3242 0.5000
Tl 0.1758 0.3889 0.0000
Tl 0.3242 0.8889 0.5000
Tl 0.3889 0.8242 0.0000
Tl 0.5000 0.5000 0.3058
Tl 0.5000 0.5000 0.6942
Tl 0.6111 0.1758 0.0000
Tl 0.6758 0.1111 0.5000
Tl 0.8242 0.6111 0.0000
Tl 0.8889 0.6758 0.5000
S 0.0000 0.0000 0.5000
S 0.5000 0.5000 0.0000
Cl 0.1722 0.6722 0.2500
Cl 0.1722 0.6722 0.7500
Cl 0.3278 0.1722 0.2500
Cl 0.3278 0.1722 0.7500
Cl 0.6722 0.8278 0.2500
Cl 0.6722 0.8278 0.7500
Cl 0.8278 0.3278 0.2500
Cl 0.8278 0.3278 0.7500

---

(2)
This record from Materials Project describes a geometry-optimized ErAgS2 structure. The functional is r²SCAN.

Properties
formation energy: -1.537 eV per atom
calculated volume: 22.074 A^3/atom
total magnetic moment: 0.0 Bohr magnetons per cell

a = 7.5670 Å, b = 7.5681 Å, c = 12.3345 Å
α = 90.00°, β = 90.00°, γ = 90.00°
Sites, in units of the cell vectors:
Er 0.9998 0.0000 0.2467
Er 0.0002 0.5000 0.7533
Er 0.2487 0.2503 0.4968
Er 0.2513 0.7510 0.9967
Er 0.5004 0.0013 0.7466
Er 0.4996 0.5013 0.2534
Er 0.7487 0.2510 0.0033
Er 0.7513 0.7503 0.5032
Ag 0.0049 0.9890 0.6886
Ag 0.2319 0.2365 0.9395
Ag 0.2673 0.7637 0.4395
Ag 0.4965 0.0109 0.1885
Ag 0.5035 0.5109 0.8115
Ag 0.7327 0.2637 0.5605
Ag 0.7681 0.7365 0.0605
Ag 0.9951 0.4890 0.3114
S 0.0187 0.4821 0.9741
S 0.0210 0.9793 0.4668
S 0.2275 0.2284 0.7171
S 0.2325 0.2683 0.2762
S 0.2675 0.7329 0.7760
S 0.2725 0.7729 0.2171
S 0.4791 0.0218 0.9668
S 0.4813 0.5191 0.4742
S 0.5187 0.0191 0.5258
S 0.5209 0.5218 0.0332
S 0.7275 0.2729 0.7829
S 0.7325 0.2329 0.2240
S 0.7675 0.7683 0.7238
S 0.7725 0.7284 0.2829
S 0.9790 0.4793 0.5332
S 0.9813 0.9821 0.0259

---

(3)
This record from Materials Project describes a geometry-optimized ZrGeSe structure. The functional is r²SCAN.

Properties
formation energy: -1.182 eV per atom
calculated volume: 19.289 A^3/atom
total magnetic moment: 0.0 Bohr magnetons per cell

a = 3.7190 Å, b = 3.7190 Å, c = 8.3678 Å
α = 90.00°, β = 90.00°, γ = 90.00°
Sites, in units of the cell vectors:
Zr 0.2500 0.2500 0.2390
Zr 0.7500 0.7500 0.7610
Ge 0.2500 0.7500 0.5000
Ge 0.7500 0.2500 0.5000
Se 0.2500 0.2500 0.8775
Se 0.7500 0.7500 0.1225

---

(4)
This record from Materials Project describes a geometry-optimized SrTl2Pt structure. The functional is r²SCAN.

Properties
formation energy: -0.530 eV per atom
calculated volume: 25.865 A^3/atom
total magnetic moment: 0.0 Bohr magnetons per cell

a = 6.0180 Å, b = 6.0180 Å, c = 8.3638 Å
α = 90.00°, β = 90.00°, γ = 136.91°
Sites, in units of the cell vectors:
Sr 0.0650 0.9350 0.7500
Sr 0.9350 0.0650 0.2500
Tl 0.3539 0.6461 0.5511
Tl 0.3539 0.6461 0.9489
Tl 0.6461 0.3539 0.0511
Tl 0.6461 0.3539 0.4489
Pt 0.2213 0.7787 0.2500
Pt 0.7787 0.2213 0.7500

---

(5)
This record from Materials Project describes a geometry-optimized La2InAg structure. The functional is r²SCAN.

Properties
formation energy: -0.460 eV per atom
calculated volume: 29.836 A^3/atom
total magnetic moment: 0.3 Bohr magnetons per cell

a = 5.5263 Å, b = 5.5263 Å, c = 5.5263 Å
α = 60.00°, β = 60.00°, γ = 60.00°
Sites, in units of the cell vectors:
La 0.2500 0.2500 0.2500
La 0.7500 0.7500 0.7500
In 0.0000 0.0000 0.0000
Ag 0.5000 0.5000 0.5000

---

(6)
This record from Materials Project describes a geometry-optimized NaAuI4O12 structure. The functional is r²SCAN.

Properties
formation energy: -0.486 eV per atom
calculated volume: 14.906 A^3/atom
total magnetic moment: 0.0 Bohr magnetons per cell

a = 10.9897 Å, b = 4.4034 Å, c = 12.3626 Å
α = 90.00°, β = 116.24°, γ = 90.00°
Sites, in units of the cell vectors:
Na 0.0000 0.0000 0.0000
Na 0.0000 0.5000 0.5000
+++

Exercise
What is needed: transcribe all of the material above exactly.

Result
(1)
This record from Materials Project describes a geometry-optimized Tl6SCl4 structure. The functional is r²SCAN.

Properties
formation energy: -0.934 eV per atom
calculated volume: 30.539 A^3/atom
total magnetic moment: 0.0 Bohr magnetons per cell

a = 8.5128 Å, b = 8.5128 Å, c = 9.2712 Å
α = 90.00°, β = 90.00°, γ = 90.00°
Sites, in units of the cell vectors:
Tl 0.0000 0.0000 0.1942
Tl 0.0000 0.0000 0.8058
Tl 0.1111 0.3242 0.5000
Tl 0.1758 0.3889 0.0000
Tl 0.3242 0.8889 0.5000
Tl 0.3889 0.8242 0.0000
Tl 0.5000 0.5000 0.3058
Tl 0.5000 0.5000 0.6942
Tl 0.6111 0.1758 0.0000
Tl 0.6758 0.1111 0.5000
Tl 0.8242 0.6111 0.0000
Tl 0.8889 0.6758 0.5000
S 0.0000 0.0000 0.5000
S 0.5000 0.5000 0.0000
Cl 0.1722 0.6722 0.2500
Cl 0.1722 0.6722 0.7500
Cl 0.3278 0.1722 0.2500
Cl 0.3278 0.1722 0.7500
Cl 0.6722 0.8278 0.2500
Cl 0.6722 0.8278 0.7500
Cl 0.8278 0.3278 0.2500
Cl 0.8278 0.3278 0.7500

---

(2)
This record from Materials Project describes a geometry-optimized ErAgS2 structure. The functional is r²SCAN.

Properties
formation energy: -1.537 eV per atom
calculated volume: 22.074 A^3/atom
total magnetic moment: 0.0 Bohr magnetons per cell

a = 7.5670 Å, b = 7.5681 Å, c = 12.3345 Å
α = 90.00°, β = 90.00°, γ = 90.00°
Sites, in units of the cell vectors:
Er 0.9998 0.0000 0.2467
Er 0.0002 0.5000 0.7533
Er 0.2487 0.2503 0.4968
Er 0.2513 0.7510 0.9967
Er 0.5004 0.0013 0.7466
Er 0.4996 0.5013 0.2534
Er 0.7487 0.2510 0.0033
Er 0.7513 0.7503 0.5032
Ag 0.0049 0.9890 0.6886
Ag 0.2319 0.2365 0.9395
Ag 0.2673 0.7637 0.4395
Ag 0.4965 0.0109 0.1885
Ag 0.5035 0.5109 0.8115
Ag 0.7327 0.2637 0.5605
Ag 0.7681 0.7365 0.0605
Ag 0.9951 0.4890 0.3114
S 0.0187 0.4821 0.9741
S 0.0210 0.9793 0.4668
S 0.2275 0.2284 0.7171
S 0.2325 0.2683 0.2762
S 0.2675 0.7329 0.7760
S 0.2725 0.7729 0.2171
S 0.4791 0.0218 0.9668
S 0.4813 0.5191 0.4742
S 0.5187 0.0191 0.5258
S 0.5209 0.5218 0.0332
S 0.7275 0.2729 0.7829
S 0.7325 0.2329 0.2240
S 0.7675 0.7683 0.7238
S 0.7725 0.7284 0.2829
S 0.9790 0.4793 0.5332
S 0.9813 0.9821 0.0259

---

(3)
This record from Materials Project describes a geometry-optimized ZrGeSe structure. The functional is r²SCAN.

Properties
formation energy: -1.182 eV per atom
calculated volume: 19.289 A^3/atom
total magnetic moment: 0.0 Bohr magnetons per cell

a = 3.7190 Å, b = 3.7190 Å, c = 8.3678 Å
α = 90.00°, β = 90.00°, γ = 90.00°
Sites, in units of the cell vectors:
Zr 0.2500 0.2500 0.2390
Zr 0.7500 0.7500 0.7610
Ge 0.2500 0.7500 0.5000
Ge 0.7500 0.2500 0.5000
Se 0.2500 0.2500 0.8775
Se 0.7500 0.7500 0.1225

---

(4)
This record from Materials Project describes a geometry-optimized SrTl2Pt structure. The functional is r²SCAN.

Properties
formation energy: -0.530 eV per atom
calculated volume: 25.865 A^3/atom
total magnetic moment: 0.0 Bohr magnetons per cell

a = 6.0180 Å, b = 6.0180 Å, c = 8.3638 Å
α = 90.00°, β = 90.00°, γ = 136.91°
Sites, in units of the cell vectors:
Sr 0.0650 0.9350 0.7500
Sr 0.9350 0.0650 0.2500
Tl 0.3539 0.6461 0.5511
Tl 0.3539 0.6461 0.9489
Tl 0.6461 0.3539 0.0511
Tl 0.6461 0.3539 0.4489
Pt 0.2213 0.7787 0.2500
Pt 0.7787 0.2213 0.7500

---

(5)
This record from Materials Project describes a geometry-optimized La2InAg structure. The functional is r²SCAN.

Properties
formation energy: -0.460 eV per atom
calculated volume: 29.836 A^3/atom
total magnetic moment: 0.3 Bohr magnetons per cell

a = 5.5263 Å, b = 5.5263 Å, c = 5.5263 Å
α = 60.00°, β = 60.00°, γ = 60.00°
Sites, in units of the cell vectors:
La 0.2500 0.2500 0.2500
La 0.7500 0.7500 0.7500
In 0.0000 0.0000 0.0000
Ag 0.5000 0.5000 0.5000

---

(6)
This record from Materials Project describes a geometry-optimized NaAuI4O12 structure. The functional is r²SCAN.

Properties
formation energy: -0.486 eV per atom
calculated volume: 14.906 A^3/atom
total magnetic moment: 0.0 Bohr magnetons per cell

a = 10.9897 Å, b = 4.4034 Å, c = 12.3626 Å
α = 90.00°, β = 116.24°, γ = 90.00°
Sites, in units of the cell vectors:
Na 0.0000 0.0000 0.0000
Na 0.0000 0.5000 0.5000